The following content is (mainly) based on the final version of the library section in the OAEI results paper.
If you notice any kind of error (wrong numbers, incorrect information on a matching system) do not hesitate to contact us.
Libraries play an important role in the linked data web, and they widely agree that linked data technologies are ideal to integrate the data of libraries around the world and to foster the collaboration on cataloguing among the libraries. Library data does not only consist of the vast amount of cataloguing data, but especially -- and probably more interesting for other communities -- also of authority data, i.e., normed descriptions of locations, events, persons, corporate bodies, and subject concepts. The subject concepts are usually organized in more or less hierarchical knowledge organization systems, together with semantic relations between the concepts. A thesaurus is such a knowledge organization system that is used for indexing purposes and that provides quasi-synonymous, describing labels for each concept. Thesauri are sometimes referred to as lightweight ontologies, however, we will see that this definition can be misleading.
Thesauri, and authority data in general, have a long history in libraries and are actively used and maintained by information professionals and domain experts. Due to their high quality and their long-term development, they could function as a "backbone of the Semantic Web".Most thesauri are domain-dependent and specialized to be used within a certain field, e.g., to index publications with an economical focus. During previous experiments, we examined the topical overlap between the two thesauri used in this challenge: TheSoz (social sciences) and STW (economics). They share not only a lot of concepts, there is also a manually created alignment that can be used as reference. Many thesauri exist that cover the same or overlapping domains, often in different languages. Multilingual thesauri are an important means to bridge the gap between catalogs in different languages, so that users can search for relevant literature using their own language. Another possibility is the creation of links between concepts across different thesauri, possibly in different languages. Such alignments -- or correspondences or cross-concordances -- can be exploited to mutually add further information to both thesauri and subsequently improve the retrieval. Therefore, for many, selected thesauri exist alignments that are manually created by domain experts. Nevertheless, the automatic identification of alignments is strongly desired, mainly due to two reasons: First, the manual creation of alignments between all existing thesauri is not feasible, so additional alignments have to be created, possibly by exploiting existing alignments (e.g., their transitivity). Second, automatically created alignments can be used to improve and enhance existing alignments, after approval by a domain expert. This is necessary, as most existing alignments are not complete and even if they are supposed to be complete, they have to be maintained just like the thesauri themselves, i.e., a constant effort is required to keep them up-to-date.
This library track is a new track within OAEI. However, there has already been a library track from 2007 to 2009 using different thesauri, as well as other thesaurus tracks like the food track and the environment track. A common motivation is that these tracks use a real-world scenario, i.e., real thesauri. For us, it is still a motivation to develop a better understanding, how thesauri differ from ontologies and how these differences affect state-of-the-art ontology matchers. We hope that the community accepts the challenge and that subsequently significant improvements can be seen that push the quality of automatic alignments between thesauri. Furthermore, we will use the matching results as input for the maintainers of the reference alignment to improve the alignment. While a full manual evaluation of all matching results is certainly not feasible, this way we constantly improve the reference alignment and mitigate possible weaknesses and incompleteness.All systems listed in the table above are sorted according to their F-measure values. Altogether 13 of the 21 submitted matching systems were able to create an alignment. Three matching systems (MaasMatch, MEDLEY, Wmatch) did not finish within the time frame of one week while five threw an exception.
Of all these systems, GOMMA performs best in terms of F-measure, closely followed by ServOMapLt and LogMap. However, the precision and recall measures vary a lot across the top three systems. Depending on the application, an alignment either achieving high precision or recall is preferable. If recall is in the focus, the alignment created by GOMMA is probably the best choice with a recall about 90%. Other systems generate alignments with higher precision, e.g. ServOMap with over 70% precision, while mostly having significantly lower recall values (except for Hertuda).
From the results obtained by the matching strategies taking the different types of labels into account, we can see that a matching based on preferred labels only, outperforms other matching strategies. MatcherPref achieves the highest F-measure in these tests. The results of MatcherPrefDE and MatcherPrefEN provide an insight into the language characteristics of both thesauri and the reference alignments. MatcherPrefDE achieves the highest precision value (nearly 90%), albeit with a recall of only 60%. Both thesauri as well as the reference alignment have been developed in Germany and focus on German terms. From the results of MatcherPrefEN, we can see the difference: precision and especially recall significantly decrease when only the preferred English labels are used. On the one hand, only about 80% of the found correspondences are correct and on the other hand, less than a half of all correspondences can be found this way. This can be a disadvantage for systems that use NLP techniques on English labels or rely on language-specific background knowledge like WordNet.The high precision values of the pref matchers reflect the fact that the preferred labels are chosen specifically to unambiguously identify the concepts. Our interpretation is that the English translations are partly not as precise as the original German terms (drop in precision) and not consistent regarding the English terminology (drop in recall).
In contrast, the MatcherAllLabels achieves a quite high recall (90%) but a rather low precision (54%). This means that most but not all of the corresondences can be found by only having a look at equivalent labels. However, when following this idea, nearly a half of the found correspondences are incorrect. The rather high F-measure of MatcherAllLabels is therefore misleading, as at least if the results would be used unchecked in an retrieval system, a higher precision would clearly be preferred over a higher recall. In this respect, matchers like ServOMap show better results. In any case, it can be seen that a matching system using the original SKOS version could achieve a better result. The information loss when converting SKOS to OWL really matters.Concerning the runtime, LogMap as well as ServOMap are quite fast with a runtime below 50 seconds. These values are comparable or even better (LogMapLt) than both strategies computing the equivalence between preferred labels. Thus, they are very effective in matching large ontologies while achieving very good results. Other matchers take several hours or even days and do not produce better alignments in terms of F-measure. By computing the correlation between F-measure and runtime, we notice a slightly negative correlation (-0.085) but the small amount of samples is not sufficient to make a significant statement. However, we can say for certain that a longer runtime does not necessarily lead to better results.
We further observe that the n:m reference alignment affects the results because some matching systems (ServOMap, WeSeE, HotMatch, CODI, MapSSS) only create 1:1 alignments and discard correspondences with entities that already occur in another correspondence. Whenever a system creates a lot of \textit{n:m} correspondences, e.g., Hertuda and GOMMA, the recall significantly increases. This difference becomes clear when comparing ServOMapLt and ServOMap. Both systems mostly base on the same methods but ServOMapLt does not use the 1:1 filtering. Consequently, the recall increases and the precision decreases.Since the reference alignment has not been updated for about six years, it does not contain updates of both thesauri. Thus, new correct correspondences might be found by matching systems but they are indicated as incorrect because they are not included in the reference alignment. Therefore, we applied a manual evaluation to check whether the matching systems found correct correspondences which are not included in the reference alignment at all. In turn, these information can help to improve the reference alignment.
The manual evaluation has been conducted by domain experts. All newly detected correspondences, which have not been contained into the reference alignment yet, have been considered. Because exact matches have to be 1:1 relationships, only those correspondences have been examined, whose terms are descriptors and not yet involved into an existing correspondence. The other correspondences are considered as wrong as they contain a term, to or from which already a correspondence exists.Since all matching systems delivered correspondences representing exact matches, they have been judged in this specific regard. That means that correspondences have been considered as wrong for now, whose terms cannot be seen as equivalent but maybe as related, broader or narrower.
The matchers detected between 38 and 251 correspondences, which have not been in the reference alignment before. This includes especially terms, which hold a strong syntactical similarity or equivalence. But, some matching systems even detected difficult correspondences, e.g., between the German label for "automated production" ("Automatische Produktion") and "CAM", which has been identified by their associated non-preferred labels. Furthermore, correspondences of geographical terms have been detected, but some of the matchers have not been able to distinguish between the terms for citizens of a country, their language or the country itself, although these differences can be derived from the structure of the thesauri.
But, the manual evaluation exposed several issues, which can either be explained by the typical behavior of matching systems or by domain-specific differences inside the thesauri. There are similar terms inside TheSoz and STW, which are used in totally different contexts, e.g. the term "self-assessment". Even when considering the structure of both thesauri these differences are difficult to identify. In general, term similarities often led to wrong correspondences, which is not surprising at first. But, in turn syntactically equal terms have not been detected simultaneously in some cases. By now, we did not have the possibility to evaluate the matching systems with the improved reference alignment but we plan to perform this additional evaluation soon.
It is the first time this track takes place, so we cannot compare the results with previous ones. As it is also the first time for the matching systems participating in this track, they do not have any experience with the data. This has to be kept in mind if the results are compared to other tracks.
Nevertheless, the newly detected correspondences determine already a useful result for the maintainers of the two thesauri. The correct correspondences can be added to the existing reference alignment, which is already applied in information portals for supporting search term recommendation and query expansion services among differently indexed databases. As all matching systems delivered exact matches for the correspondences, some of the wrong correspondences will be examined again in the future, whether other relationships like broader, narrower or related matches can be considered for those.
We expect further improvements, if the matchers are tailored more specifically to the library track, i.e., if they exploit the information found in the original SKOS version. A promising approach is also the use of additional knowledge, e.g., instance data -- resources that are indexed with different thesauri.
Unrelated to this text: crystal structures >
Starting from a DFT-relaxed cell (GGA-PBE, the Materials Project), the powder diffraction line list of Mg6TiV was computed for copper Kα.
Kinematic intensities with the Lorentz-polarization factor, no thermal factor.

Atomic structure:
```
data_Mg6TiV
_chemical_formula_sum 'Mg12 Ti2 V2'
_cell_length_a 5.0167
_cell_length_b 6.0904
_cell_length_c 10.8713
_cell_angle_alpha 90.00
_cell_angle_beta 90.00
_cell_angle_gamma 90.00
_space_group_name_H-M_alt 'A m m 2'
_space_group_IT_number 38
_space_group_name_Hall 'A 2 -2'
loop_
_atom_site_label
_atom_site_type_symbol
_atom_site_fract_x
_atom_site_fract_y
_atom_site_fract_z
_atom_site_occupancy
Mg1 Mg 0.0000 0.0000 0.0000 1
Mg2 Mg 0.0000 0.0000 0.4984 1
Mg3 Mg 0.0000 0.2484 0.2613 1
Mg4 Mg 0.5000 0.2484 0.0921 1
Ti1 Ti 0.5000 0.0000 0.8418 1
V1 V 0.5000 0.0000 0.3403 1
```

Peak list (10 most intense, 10 to 90 degrees two-theta, by angle)
2θ/deg, I/Imax, hkl
16.31, 14, 0 0 2
33.74, 28, 0 2 2
35.80, 41, 2 0 0
37.64, 56, 1 0 4
38.34, 100, 1 2 2
50.01, 17, 2 2 2
59.35, 17, 0 2 6
66.01, 18, 3 2 2
71.29, 19, 2 2 6
73.79, 13, 1 4 4

=====

Structure and theoretical powder X-ray diffraction pattern of LiHg2Ge2 (a DFT-relaxed cell (GGA-PBE, Alexandria); Cu Kα, 1.54184 Å).
Lines closer than 0.1° are merged.

Principal peaks in the range 2θ from 10° to 90°, in order of rising 2θ:
d (Å)	I_rel
5.627	88.2
4.275	19.0
3.267	22.3
2.826	100.0
2.310	46.5
2.137	31.9
2.132	67.5
1.456	16.8
1.414	29.8
1.297	27.6

Structural model:
```
LiHg2Ge2
1.0
-2.310 2.310 5.627
2.310 -2.310 5.627
2.310 2.310 -5.627
Li Hg Ge
1 2 2
Direct
0.000 0.000 0.000 Li
0.250 0.750 0.500 Hg
0.750 0.250 0.500 Hg
0.392 0.392 0.000 Ge
0.608 0.608 0.000 Ge
```

=====

Cs2ThAs2O8: computed powder diffractogram (CuKα), based on a PBE-relaxed structure.
Lines closer than 0.1° are merged.

The 10 most intense peaks (2θ = 10–90°), in order of rising 2θ:
| 2θ (°) | intensity |
| --- | --- |
| 12.81 | 36 |
| 18.50 | 34 |
| 23.95 | 53 |
| 25.78 | 26 |
| 26.52 | 71 |
| 27.25 | 100 |
| 33.24 | 33 |
| 39.27 | 34 |
| 43.26 | 27 |
| 48.38 | 30 |

Structure:
Cell: 10.787 10.787 10.787 Å, 139.71 139.71 58.29°
Fractional coordinates of all 26 atoms:
1 Cs 0.000 0.000 0.000
2 Cs 0.000 0.000 0.500
3 Cs 0.000 0.500 0.000
4 Cs 0.500 0.000 0.500
5 Th 0.375 0.625 0.750
6 Th 0.625 0.375 0.250
7 As 0.200 0.450 0.750
8 As 0.450 0.200 0.250
9 As 0.550 0.800 0.750
10 As 0.800 0.550 0.250
11 O 0.040 0.605 0.435
12 O 0.259 0.330 0.572
13 O 0.259 0.687 0.928
14 O 0.313 0.741 0.572
15 O 0.330 0.259 0.072
16 O 0.331 0.395 0.935
17 O 0.395 0.331 0.435
18 O 0.395 0.960 0.065
19 O 0.605 0.040 0.935
20 O 0.605 0.669 0.565
21 O 0.669 0.605 0.065
22 O 0.670 0.741 0.928
23 O 0.687 0.259 0.428
24 O 0.741 0.313 0.072
25 O 0.741 0.670 0.428
26 O 0.960 0.395 0.565

=====

Record 1
The following is a simulated X-ray powder pattern of K4InCl6. It was derived from a cell relaxed with PBE, using λ = 1.5418 Å (Cu Kα).
No peak broadening, texture or thermal motion is included.

Structural model:
```
So much for the crystal structures >
This time, we collected the results of the matchers as a first survey and compared them to our simple string-matching strategy that takes advantage of the different types of labels. In future evaluations, we assume that better results can be achieved and that these strategies simply form a baseline.
We would like to thank Andreas Oskar Kempf from GESIS for the manual evaluation of the new detected correspondences.